• Case Studies
  • Public sector and healthcare organizations in the Nordics are using conversational AI to improve quality of life for citizens

Public sector and healthcare organizations in the Nordics are using conversational AI to improve quality of life for citizens

Last updated 23 April 2024

Introducing the next generation of digital public servants working to make life easier for everyone

Traditionally known for being unapologetically analog, the public sector is ripe for digital disruption. With the pandemic helping to accelerate the adoption of conversational AI across all sectors, we are increasingly seeing local and national governments turn to chatbots and virtual agents as an effective channel for two-way communication with their citizens.

- - -
No. 1
Below is a molecular structure, C46H55BrF2InN7PS2Si, with properties calculated with ωB97M-V/def2-TZVPD.

CARTESIAN COORDINATES (ANGSTROEM)
In  0.212  -0.052  1.191
F  0.498  0.287  6.977
C  -0.297  0.436  5.890
C  0.213  0.259  4.623
C  -0.612  0.331  3.498
C  -1.977  0.641  3.697
C  -2.423  0.904  4.991
F  -3.701  1.311  5.249
C  -1.616  0.785  6.102
C  -2.869  0.552  2.516
C  -4.257  0.733  2.537
C  -4.996  0.511  1.387
C  -4.361  0.089  0.230
C  -2.988  -0.060  0.283
N  -2.273  0.186  1.373
H  1.267  0.016  4.515
H  -2.010  0.938  7.097
H  -4.764  1.026  3.440
H  -6.071  0.643  1.410
H  -4.907  -0.120  -0.680
H  -2.432  -0.419  -0.576
C  0.094  5.072  -1.772
N  0.521  5.021  -0.391
C  0.191  6.222  0.351
C  0.543  3.803  0.298
N  -0.103  2.745  -0.059
C  -1.355  2.884  -0.656
C  -2.277  3.644  0.051
C  -3.574  3.867  -0.412
C  -3.950  3.364  -1.622
C  -3.054  2.588  -2.391
C  -3.480  2.129  -3.658
C  -2.646  1.387  -4.439
C  -1.375  1.043  -3.974
C  -0.897  1.446  -2.731
N  0.274  0.868  -2.297
C  1.292  0.669  -3.062
N  1.791  1.603  -3.987
C  1.513  3.001  -3.760
C  1.830  1.220  -5.387
N  2.049  -0.460  -2.982
C  1.485  -1.719  -2.538
C  3.436  -0.537  -3.377
C  -1.740  2.285  -1.907
N  1.403  3.772  1.360
C  2.552  4.641  1.472
C  1.030  3.072  2.575
H  0.715  5.800  -2.303
H  -0.956  5.366  -1.880
H  0.221  4.101  -2.237
H  -0.867  6.479  0.213
H  0.795  7.064  -0.001
H  0.369  6.081  1.415
H  -1.973  4.053  1.008
H  -4.261  4.460  0.180
H  -4.938  3.556  -2.023
H  -4.473  2.391  -4.004
H  -2.960  1.041  -5.417
H  -0.754  0.381  -4.566
H  1.625  3.202  -2.696
H  0.507  3.302  -4.082
H  2.245  3.597  -4.311
H  1.792  0.136  -5.482
H  2.749  1.584  -5.856
H  0.972  1.641  -5.927
H  0.446  -1.587  -2.265
H  2.009  -2.103  -1.661
H  1.552  -2.464  -3.339
H  3.811  0.444  -3.654
H  3.562  -1.222  -4.223
H  4.026  -0.924  -2.541
H  2.852  4.983  0.484
H  3.372  4.076  1.921
H  2.363  5.516  2.107
H  0.153  2.461  2.395
H  0.808  3.792  3.374
H  1.837  2.425  2.921
Br  4.539  1.244  3.385
C  6.470  0.085  1.048
Si  4.619  0.097  1.431
C  3.954  -1.627  1.734
C  3.706  1.161  0.178
H  6.680  -0.366  0.075
H  7.016  -0.479  1.807
H  6.861  1.104  1.043
H  4.437  -2.363  1.087
H  2.877  -1.683  1.563
H  4.116  -1.939  2.767
H  4.190  1.123  -0.802
H  3.684  2.205  0.490
H  2.664  0.837  0.065
S  1.312  -4.822  2.528
P  -0.263  -4.649  1.358
S  -0.937  -2.857  0.803
C  -1.681  -5.580  2.063
C  -2.764  -4.901  2.607
C  -3.834  -5.611  3.136
C  -3.819  -6.998  3.124
C  -2.731  -7.676  2.593
C  -1.659  -6.971  2.068
C  0.023  -5.568  -0.215
C  -1.002  -5.697  -1.149
C  -0.756  -6.307  -2.368
C  0.516  -6.778  -2.669
C  1.541  -6.640  -1.746
C  1.296  -6.032  -0.521
H  -2.764  -3.819  2.588
H  -4.680  -5.073  3.546
H  -4.654  -7.554  3.534
H  -2.723  -8.760  2.587
H  -0.803  -7.491  1.654
H  -1.983  -5.302  -0.915
H  -1.556  -6.411  -3.092
H  0.708  -7.250  -3.625
H  2.532  -7.009  -1.983
H  2.076  -5.907  0.220

## Properties
2S+1: 1
Charge: -1
- - -

In the ‘2020 Center for Digital Government Surveys’ report, 39% of state officials across the US said that they acknowledged the advantages of chatbots in government use, with plans to upgrade within the next 12-18 months. While this number is indeed impressive (and expected to increase year-on-year), in the Nordic countries the application of conversational AI in the public sector has been quietly making waves for years. Local and national governments in Norway, Sweden, Denmark and Finland are leading the way when it comes to the digitalization of customer service in the public sector, breaking down bureaucratic barriers and empowering citizens to self-service, with the goal of achieving a more connected society.

In this article, we look at some of the most exciting and innovative uses of conversational AI in the public sector and healthcare verticals.

Kommune-Kari - municipal government - NO, SE, DK, FI

The jewel in the crown of public sector chatbots, Kommune-Kari is the world’s first multi-city conversational AI platform designed to easily connect multiple municipalities to a single generalized hub of knowledge, customizable to fit each ones’ individual needs.

Originally launched in Sandefjord, Norway in 2017, in collaboration with boost.ai partner Sem & Stenersen Prokom, the Kommune-Kari platform is now used by more than 27 million people in 118 municipalities across the Nordics and Europe.

Each Kommune-Kari chatbot is able to answer questions and automate actions on more than 6,000 topics ranging from “When do you come to collect my garbage?” and “When is the deadline to enroll my child in kindergarten?” to “What are the opening hours of City Hall?”. This frees up municipal staff to tackle more complex customer inquiries while increasing job satisfaction from not having to constantly answer the same repetitive queries.

Impressive results throughout the Nordics

In Norway, Kommune-Kari has achieved a series of milestones, surpassing 500,000 conversations per year and reaching an all-time high of more than 1 million messages annually in 2020.

In Sweden, Denmark and Finland the platform has also seen incredible success despite being live in fewer total municipalities than in Norway. Between March 2020-21, traffic to Kommune-Kari in these three markets was recorded at:

  • Sweden: ~68,000 conversations and ~165,000 messages across 14 municipalities
  • Denmark: ~56,000 conversations and ~106,000 messages across 9 municipalities
  • Finland: ~72,000 conversations and ~160,000 messages across 6 municipalities

Kommune-Kari in the fight against Covid

With the lockdowns that followed in the wake of the pandemic, a second-order effect resulted in the increasing digitalization of customer support and service to help meet the demands of customers who were unable to reach organizations in person or on the phone.

This was equally true of the public sector, with municipalities in both Norway and Finland reporting significant increases in traffic to their respective Kommune-Kari bots that had been trained to answer Covid-related questions specific to each municipality.

In Norway, we saw traffic increase by ~44% in the first month after the initial lockdown in March 2020. One year later, traffic was still up ~38% in March 2021 with Covid-related questions accounting for only 6.69% overall from the previous 12 months; a sign that citizens may have initially interacted with Kommune-Kari to find information about Coivd but, 12 months later, they were still using the platform for various other reasons.

In Finland, Covid-related traffic to Kommune-Kari accounted for 3.24% of total traffic, with the platform seeing a total increase of ~186% after the March 2020 lockdown. Traffic has continued to remain higher than pre-pandemic levels, with a steady increase of ~89% over 12 months.

Awards, an app and what’s next for Kommune-Kari

In 2019, Kommune-Kari was awarded a silver medal in the ‘Governance and Finance’ category of the Smart City Expo World Congress awards. This category represented “the most innovative and successful projects being implemented and developed in the fields of governance and finance”.

In 2021, Prokom released the official Kommune-Kari app for iOS and Android. The app allows users to chat with Kommune-Kari via another channel, making it easier than ever to find answers to questions about local legislation and receive important information and announcements via push notification. The app also supports multiple municipalities, a useful feature for users who have properties in more than one district. Initially launching in Norway, the Kommune-Kari app will be available in other markets soon.

Menntasjóður Námsmanna - education - IS

Icelandic is consistently ranked amongst the most difficult languages in the world to master. This makes the challenge of developing a chatbot that can speak and understand Icelandic a non-trivial task. The Icelandic Student Loan fund worked in partnership with Advania to develop Lína, the first AI-powered virtual agent of its kind able to communicate fluently in Icelandic.

Powered by boost.ai’s conversational AI platform which runs on a foundation of advanced Natural Language Understanding (NLU) algorithms, Lína was developed and launched in only 4 weeks. Initially designed to ease the workload of the organization’s customer service reps during seasonal peaks by answering questions both in and outside of opening hours, Lína proved so effective that within six months, she was already being upgraded to handle more complex interactions.

These upgrades to the virtual agent’s functionality included support for user authentication so that students can access account information directly in the chat window, and the ability to check loan status, change contact information and download documents through Lína.

Today, Lína automates ~85% of total chat traffic, primarily answering questions from current and former students about loan disbursement, repayment and application status, with a more than 80% success rate.

Virtual Agent Network - immigration, taxation, business registration - FI

The Finnish government needed a unique digital solution, in alignment with its Aurora national AI program, to minimize friction for foreign entrepreneurs interested in establishing new businesses.

The goal: to streamline the process of starting a new business by rethinking existing systems; making them less fragmented and more accessible via a single, user-friendly channel. To achieve this, three key agencies within the Finnish government - the Immigrations Service, the Patent & Registration Office and the Tax Administration - partnered with Accenture Finland and boost.ai in 2018 to develop a groundbreaking new implementation of conversational AI to more effectively facilitate inter-agency customer service.

Dubbed a Virtual agent Network, this innovative system was designed to connect three independent virtual agents, each powered by boost.ai’s conversational AI platform, together in a single network. Visitors to each agency’s website are able to interact with its respective virtual agent to get help with questions related to immigration, taxation or patent and business registration. If users have any questions related to topics that either of the other virtual agents can answer, boost.ai’s advanced NLU can seamlessly loop in the appropriate virtual agent (provided the user gives consent) without any disruption in the conversation.

The first of its kind in the world, the Virtual Agent Network has helped break down departmental silos and set a new standard for cross-departmental customer service within the Finnish government. Users get access to all the information they need, 24/7 and via a single, conversational interface that doesn’t require them to contact each agency multiple times.

The Virtual Agent Network also adheres to strict EU privacy and data security guidelines with no personal data actively shared across the network.

Employees working within each agency benefit from how efficiently the network allows each virtual agent to answer frequently-asked-questions related to setting up a business in Finland, freeing them up to focus on more complex cases that require genuine human support.

Verohallinto - taxation - FI

The Finnish tax administration, Verohallinto, developed a virtual agent on boost.ai’s conversational AI platform in 2019 in partnership with Accenture Finland. The bot, named Virtanen, is designed to answer general questions related to taxation on nearly 2,000 topics, including providing crucial info on tax cards, ranging from benefits to how-to-order, during the country’s busy tax season.

At its peak of operation in 2020, the virtual agent automated over 50,000 interactions per month with a success rate of 67%. It was calculated that, during this period, the virtual agent performed the approximate work of 14 FTE employees, without the need for the agency to onboard any additional staff.

If a customer query falls outside of the virtual agent’s scope, it is able to understand and seamlessly transfer them to a relevant human agent, incorporating additional functionality designed to enhance the overall customer experience.

Outside of tax season, the virtual agent receives around 23,000 monthly conversations, with Virtanen reporting a total of nearly 320,000 conversations in 2020 with a resolution rate of 67%.

NAV - public welfare - NO

The Norwegian Labour and Welfare Administration is responsible for administering many of Norway’s key social benefit programs. These include pensions, child support, unemployment benefits and employee sick leave, many of which saw a surge in demand during the height of the pandemic in March 2020.

NAV put in place a variety of measures to help alleviate the increase in service and support traffic during this period including ramping up efforts of its conversational AI-powered virtual agent, Frida. Already in place when the pandemic hit, Frida helped NAV cope with a 250% increase in inquiries related to its services.

Jørn Torbergsen, Director of NAV Contact Center, was quick to praise the virtual agent and its AI Trainer team, revealing that in just a few short weeks, Frida answered more than 270,000 inquiries from citizens concerned about their situation as it related to the pandemic.

To put this into perspective, there are approximately 850 support representatives working across NAV’s contact center, located at 15 different sites around Norway. Employees split their time between answering calls, emails and live chat, and, at times, were receiving upwards of 15,000 inquiries per day. Even with the reallocation of an additional 70 temp workers from other departments, NAV was struggling to keep up with demand.

During periods of extreme traffic, NAV reported that Friday handled incoming inquiries corresponding to the work of 220 full-time employees, with an 80% resolution rate. This allowed NAV to give citizens the answers they were looking for quickly, and without needing to significantly scale up support personnel.

Västra Götaland - healthcare - SE

Sweden was the only country in Europe to avoid imposing lockdown measures during the pandemic. This made it critical for state and local governments to be able to quickly and accurately disseminate information related to public health and safety as residents were often subjected to waiting times of up to several hours when calling the 1177 healthcare service.

Officials from the country’s Västra Götaland region recognized the inefficiencies in the current service model and that a solution would be required to manage any further increases in traffic. With timing being a critical factor, boost.ai’s user-friendly conversational AI platform was selected because of its capacity to develop and deploy advanced virtual agents in a matter of days thanks to pre-built content and deep vertical expertise.

Working closely with a team of healthcare professionals, boost.ai and implementation partner Atea were able to successfully build and launch a virtual agent in just six working days. The no-code conversation builder made it easy to update the virtual agents knowledge base as guidelines and information around the coronavirus shifted, and allowed for medical professionals, such as nurses and midwives, to take an active role in helping to update the bot.

Powered by boost.ai’s proprietary NLU, the virtual agent provided a reliable 24/7 channel for information related to the coronavirus, automating upwards of 800 conversations per day and freeing up human agents to assist residents with inquiries beyond Covid-19.

The virtual agent’s reach extended beyond just Västra Götaland, with people from all over the country chatting with the bot to update themselves on the latest guidelines and creating genuine value for all Swedish citizens.